== Given ==
____________
Entry 1:
DFT (GGA-PBE) results for a relaxed structure of Ca2Ga3Ni4Ir.

abc: 3.9527 3.9527 10.5615
angles: 90.00 90.00 90.00
Space group P-4m2 (No. 115)
Asymmetric unit:
Ca (0.0000, 0.5000, 0.2450) (multiplicity 2)
Ga (0.0000, 0.0000, 0.0000) (multiplicity 1)
Ga (0.0000, 0.5000, 0.6306) (multiplicity 2)
Ni (0.0000, 0.0000, 0.5000) (multiplicity 1)
Ni (0.0000, 0.5000, 0.8576) (multiplicity 2)
Ni (0.5000, 0.5000, 0.5000) (multiplicity 1)
Ir (0.5000, 0.5000, 0.0000) (multiplicity 1)

Properties
Its formation energy is -0.38 eV per atom. The total energy comes out at -4.89 eV per atom.

Entry 2:
DFT (GGA-PBE) results for a relaxed structure of Nb2PAu.

abc: 4.5579 4.5579 16.2021
angles: 90.00 90.00 90.00
Space group I-42d (No. 122)
Asymmetric unit:
Nb (0.1872, 0.2500, 0.1250) (multiplicity 8)
P (0.0000, 0.0000, 0.0000) (multiplicity 4)
Au (0.0000, 0.0000, 0.5000) (multiplicity 4)

Properties
Its formation energy is 0.44 eV per atom. The total energy comes out at -6.77 eV per atom.

Entry 3:
DFT (GGA-PBE) results for a relaxed structure of Ta2ZnMo.

abc: 3.3655 4.4266 9.0165
angles: 90.00 90.00 90.00
Space group Cmm2 (No. 35)
Asymmetric unit:
Ta (0.0000, 0.0000, 0.0000) (multiplicity 2)
Ta (0.0000, 0.5000, 0.2627) (multiplicity 2)
Zn (0.0000, 0.0000, 0.5120) (multiplicity 2)
Mo (0.0000, 0.5000, 0.7486) (multiplicity 2)

Properties
Its formation energy is 0.04 eV per atom. The total energy comes out at -8.91 eV per atom.

Entry 4:
DFT (GGA-PBE) results for a relaxed structure of TmZrSc.

abc: 3.3388 3.3388 23.9393
angles: 90.00 90.00 120.00
Space group R3m (No. 160, hexagonal axes)
Asymmetric unit:
Tm (0.0000, 0.0000, 0.0000) (multiplicity 3)
Zr (0.0000, 0.0000, 0.2210) (multiplicity 3)
Sc (0.0000, 0.0000, 0.7845) (multiplicity 3)

Properties
Its formation energy is 0.03 eV per atom. The total energy comes out at -6.42 eV per atom.

Entry 5:
DFT (GGA-PBE) results for a relaxed structure of CoBr3.

abc: 8.3673 8.3673 5.1382
angles: 90.00 90.00 120.00
Space group R-3m (No. 166, hexagonal axes)
Asymmetric unit:
Co (0.0000, 0.0000, 0.0000) (multiplicity 3)
Br (0.0000, 0.5000, 0.0000) (multiplicity 9)

Properties
The formation energy from raw total energies comes out at 0.614 eV/atom. The total energy comes out at -2.42 eV per atom.

Entry 6:
DFT (GGA-PBE) results for a relaxed structure of DyLuPd4.

abc: 7.6654 7.6654 7.6654
angles: 90.00 90.00 90.00
Space group F-43m (No. 216)
Asymmetric unit:
Dy (0.0000, 0.0000, 0.0000) (multiplicity 4)
Lu (0.2500, 0.2500, 0.2500) (multiplicity 4)
Pd (0.1248, 0.1248, 0.6248) (multiplicity 16)

Properties
Its formation energy is -0.82 eV per atom. The total energy comes out at -5.80 eV per atom.


Entry 1:
Here is TaOsO3 after structural relaxation from Alexandria via LeMat-Bulk. Energies are from PBE-GGA.

Structure (extended XYZ):
```
5
Lattice="3.9738 0.0000 0.0000 0.0000 3.9738 0.0000 0.0000 0.0000 3.9738" Properties=species:S:1:pos:R:3 pbc="T T T"
Ta 0.0000 0.0000 0.0000
Os 1.9869 1.9869 1.9869
O 0.0000 0.0000 1.9869
O 0.0000 1.9869 0.0000
O 1.9869 0.0000 0.0000
```

- Space group: Pm-3m, No. 221
- Formation energy without anion corrections: -0.72 eV per atom

***

Entry 2:
Here is Tb7Sm3Sc2 after structural relaxation from Alexandria via LeMat-Bulk. Energies are from PBE-GGA.

Structure (extended XYZ):
```
12
Lattice="3.2266 1.8629 11.0472 -3.2266 1.8629 11.0472 0.0000 -3.7258 11.0472" Properties=species:S:1:pos:R:3 pbc="T T T"
Tb 0.0000 0.0000 0.0000
Tb 0.0000 -1.8573 8.2272
Tb -1.6084 0.9286 8.2272
Tb -1.6084 -0.9286 24.9144
Tb 1.6084 0.9286 8.2272
Tb 1.6084 -0.9286 24.9144
Tb 0.0000 1.8573 24.9144
Sm 0.0000 0.0000 11.4478
Sm 0.0000 0.0000 16.5708
Sm 0.0000 0.0000 21.6938
Sc 0.0000 0.0000 5.5256
Sc 0.0000 0.0000 27.6160
```

- Space group: R-3m, No. 166
- E_form: 345 kJ/mol of formula units
- Offset from the most stable computed form: 194 meV/atom

***

Entry 3:
Here is CaLa7Y12 after structural relaxation from Alexandria via LeMat-Bulk. Energies are from PBE-GGA.

Structure (extended XYZ):
____________

== Job ==
Write out everything further above exactly, please.

== Solution ==
Entry 1:
DFT (GGA-PBE) results for a relaxed structure of Ca2Ga3Ni4Ir.

abc: 3.9527 3.9527 10.5615
angles: 90.00 90.00 90.00
Space group P-4m2 (No. 115)
Asymmetric unit:
Ca (0.0000, 0.5000, 0.2450) (multiplicity 2)
Ga (0.0000, 0.0000, 0.0000) (multiplicity 1)
Ga (0.0000, 0.5000, 0.6306) (multiplicity 2)
Ni (0.0000, 0.0000, 0.5000) (multiplicity 1)
Ni (0.0000, 0.5000, 0.8576) (multiplicity 2)
Ni (0.5000, 0.5000, 0.5000) (multiplicity 1)
Ir (0.5000, 0.5000, 0.0000) (multiplicity 1)

Properties
Its formation energy is -0.38 eV per atom. The total energy comes out at -4.89 eV per atom.

Entry 2:
DFT (GGA-PBE) results for a relaxed structure of Nb2PAu.

abc: 4.5579 4.5579 16.2021
angles: 90.00 90.00 90.00
Space group I-42d (No. 122)
Asymmetric unit:
Nb (0.1872, 0.2500, 0.1250) (multiplicity 8)
P (0.0000, 0.0000, 0.0000) (multiplicity 4)
Au (0.0000, 0.0000, 0.5000) (multiplicity 4)

Properties
Its formation energy is 0.44 eV per atom. The total energy comes out at -6.77 eV per atom.

Entry 3:
DFT (GGA-PBE) results for a relaxed structure of Ta2ZnMo.

abc: 3.3655 4.4266 9.0165
angles: 90.00 90.00 90.00
Space group Cmm2 (No. 35)
Asymmetric unit:
Ta (0.0000, 0.0000, 0.0000) (multiplicity 2)
Ta (0.0000, 0.5000, 0.2627) (multiplicity 2)
Zn (0.0000, 0.0000, 0.5120) (multiplicity 2)
Mo (0.0000, 0.5000, 0.7486) (multiplicity 2)

Properties
Its formation energy is 0.04 eV per atom. The total energy comes out at -8.91 eV per atom.

Entry 4:
DFT (GGA-PBE) results for a relaxed structure of TmZrSc.

abc: 3.3388 3.3388 23.9393
angles: 90.00 90.00 120.00
Space group R3m (No. 160, hexagonal axes)
Asymmetric unit:
Tm (0.0000, 0.0000, 0.0000) (multiplicity 3)
Zr (0.0000, 0.0000, 0.2210) (multiplicity 3)
Sc (0.0000, 0.0000, 0.7845) (multiplicity 3)

Properties
Its formation energy is 0.03 eV per atom. The total energy comes out at -6.42 eV per atom.

Entry 5:
DFT (GGA-PBE) results for a relaxed structure of CoBr3.

abc: 8.3673 8.3673 5.1382
angles: 90.00 90.00 120.00
Space group R-3m (No. 166, hexagonal axes)
Asymmetric unit:
Co (0.0000, 0.0000, 0.0000) (multiplicity 3)
Br (0.0000, 0.5000, 0.0000) (multiplicity 9)

Properties
The formation energy from raw total energies comes out at 0.614 eV/atom. The total energy comes out at -2.42 eV per atom.

Entry 6:
DFT (GGA-PBE) results for a relaxed structure of DyLuPd4.

abc: 7.6654 7.6654 7.6654
angles: 90.00 90.00 90.00
Space group F-43m (No. 216)
Asymmetric unit:
Dy (0.0000, 0.0000, 0.0000) (multiplicity 4)
Lu (0.2500, 0.2500, 0.2500) (multiplicity 4)
Pd (0.1248, 0.1248, 0.6248) (multiplicity 16)

Properties
Its formation energy is -0.82 eV per atom. The total energy comes out at -5.80 eV per atom.


Entry 1:
Here is TaOsO3 after structural relaxation from Alexandria via LeMat-Bulk. Energies are from PBE-GGA.

Structure (extended XYZ):
```
5
Lattice="3.9738 0.0000 0.0000 0.0000 3.9738 0.0000 0.0000 0.0000 3.9738" Properties=species:S:1:pos:R:3 pbc="T T T"
Ta 0.0000 0.0000 0.0000
Os 1.9869 1.9869 1.9869
O 0.0000 0.0000 1.9869
O 0.0000 1.9869 0.0000
O 1.9869 0.0000 0.0000
```

- Space group: Pm-3m, No. 221
- Formation energy without anion corrections: -0.72 eV per atom

***

Entry 2:
Here is Tb7Sm3Sc2 after structural relaxation from Alexandria via LeMat-Bulk. Energies are from PBE-GGA.

Structure (extended XYZ):
```
12
Lattice="3.2266 1.8629 11.0472 -3.2266 1.8629 11.0472 0.0000 -3.7258 11.0472" Properties=species:S:1:pos:R:3 pbc="T T T"
Tb 0.0000 0.0000 0.0000
Tb 0.0000 -1.8573 8.2272
Tb -1.6084 0.9286 8.2272
Tb -1.6084 -0.9286 24.9144
Tb 1.6084 0.9286 8.2272
Tb 1.6084 -0.9286 24.9144
Tb 0.0000 1.8573 24.9144
Sm 0.0000 0.0000 11.4478
Sm 0.0000 0.0000 16.5708
Sm 0.0000 0.0000 21.6938
Sc 0.0000 0.0000 5.5256
Sc 0.0000 0.0000 27.6160
```

- Space group: R-3m, No. 166
- E_form: 345 kJ/mol of formula units
- Offset from the most stable computed form: 194 meV/atom

***

Entry 3:
Here is CaLa7Y12 after structural relaxation from Alexandria via LeMat-Bulk. Energies are from PBE-GGA.

Structure (extended XYZ):